Aug 26, 2021 Jonathan Aikhenbaum
Although there isn’t much public discussion of the issue, the Israeli government is currently reaching a critical stage in which it must decide where it really stands on the climate crisis – on the side that is fighting to alleviate the crisis, or the side that is helping to exacerbate it.
The decisive question here will be the government’s policy on the continued development of Israel’s gas economy, specifically the gas exporting policy under discussion by the Adiri 2 committee, which will convene for a public hearing next week on September 1.
Given this situation, it’s not surprising that leading economic analyst Nehemia Shtrasler (“Natural gas is here to stay,” Tuesday, Haaretz.com) repeated the misleading messages of the gas corporations and the messages expressed on television a few days before that by one of the biggest proponents of gas exports, former Energy Minister Dr. Yuval Steinitz.
It is quite sad to see a top economic analyst using such a key platform in the aid of an industry that is causing such tremendous damage to the planet. But when Shtrasler disseminates several crude deceptions (aside from the misinformation spread by the Energy Ministry in official publications and similar publications from the energy companies, which has also reached students in school), then we really have a problem.
Let’s start with the title of Shtrasler’s piece: “Natural gas is here to stay,” a headline which creates the impression that the gas debate is now about its use in Israel, when in fact the gas industry and the Energy Ministry are only concerned at present with further development of the gas economy for export purposes.
Shtrasler also explains that climate change (or “global warming,” as he prefers to call it) is caused due to overuse of “coal, diesel fuel and crude oil.” Here let’s strain to find the exception as well as a key phrase that was omitted. First let’s point out that diesel is a crude oil product, so it should not be cited as an energy source in itself. It’s totally redundant, like the famous remark: “I want to play in Europe or in Spain.” And what words did Shtrasler leave out? “Natural gas,” of course, which is one of the three fuel sources that together account for two-thirds of all greenhouse gas emissions.
Shtrasler asserts that only 1 percent of the methane that rises into the atmosphere comes from natural gas platforms, despite the recently published findings of the Intergovernmental Panel on Climate Change, as well as the findings of the much more conservative International Energy Agency, which determined natural gas to be a key contributor to the worsening climate crisis, due to both its methane emission and its CO2 emissions during the burning process. Both agencies say that the search for natural gas and crude oil each has to stop.
“In Israel, we only have the sun,” Shtrasler laments, and few open spaces, and therefore he argues that setting a target for getting more than 30 percent of our power from renewable energy would be an ecological disaster and impossible. However, investigations by the Environmental Protection Ministry as well as by a number of independent planning bodies have found that we could produce 50 percent of our electricity from renewable energy from built-up spaces alone. Add to that dual-use land in agriculture, and this puts us far beyond where we are today.
_Records of crystals that have nothing to do with the page_
/*
1.
Below is an optimized crystal structure of LiP2Ir, with properties calculated at the GGA-PBE level.

The space group is P4mm (No. 99) and the conventional cell measures 3.343, 3.343 and 4.925 Å, with angles of 90.00, 90.00 and 90.00 degrees. The distinct sites, in fractional coordinates, are Li at (0.000, 0.000, 0.000), P at (0.000, 0.000, 0.504), P at (0.500, 0.500, 0.168) and Ir at (0.500, 0.500, 0.671).

For the distance to the lowest polymorph of the same formula, the calculation gives 0.519 eV per atom. The formation energy comes out at -64 meV/atom.

2.
Below is an optimized crystal structure of Al2CdHg, with properties calculated at the GGA-PBE level.

The space group is Imm2 (No. 44) and the conventional cell measures 2.995, 5.361 and 10.416 Å, with angles of 90.00, 90.00 and 90.00 degrees. The distinct sites, in fractional coordinates, are Al at (0.000, 0.000, 0.000), Al at (0.000, 0.500, 0.273), Cd at (0.000, 0.000, 0.522) and Hg at (0.000, 0.500, 0.747).

For the distance to the lowest polymorph of the same formula, the calculation gives 0.058 eV per atom. The formation energy comes out at 171 meV/atom.

3.
Below is an optimized crystal structure of KPa3S7, with properties calculated at the GGA-PBE level.

The space group is C2/m (No. 12) and the conventional cell measures 8.863, 9.689 and 7.046 Å, with angles of 90.00, 110.70 and 90.00 degrees. The distinct sites, in fractional coordinates, are K at (0.000, 0.000, 0.000), Pa at (0.000, 0.273, 0.500), Pa at (0.000, 0.500, 0.000), S at (0.000, 0.000, 0.500), S at (0.142, 0.500, 0.729) and S at (0.173, 0.300, 0.248).

As for the calculated total energy: -6.86 eV per atom.

4.
Below is an optimized crystal structure of Sr3Cd3RhO8, with properties calculated at the GGA-PBE level.

The space group is R-3m (No. 166, hexagonal axes) and the conventional cell measures 6.9361, 6.9361 and 16.8616 Å, with angles of 90.00, 90.00 and 120.00 degrees. The distinct sites, in fractional coordinates, are Sr at (0.0000, 0.5000, 0.0000), Cd at (0.0000, 0.5000, 0.5000), Rh at (0.0000, 0.0000, 0.5000), O at (0.0000, 0.0000, 0.2452) and O at (0.0446, 0.5223, 0.2341).

As for the calculated total energy: -5.30 eV per atom.

5.
Below is an optimized crystal structure of YCdRu2, with properties calculated at the GGA-PBE level.

The space group is Cmmm (No. 65) and the conventional cell measures 3.339, 4.954 and 8.880 Å, with angles of 90.00, 90.00 and 90.00 degrees. The distinct sites, in fractional coordinates, are Y at (0.000, 0.000, 0.000), Cd at (0.000, 0.000, 0.500) and Ru at (0.000, 0.500, 0.248).

The formation energy comes out at 345 meV/atom.

6.
Below is an optimized crystal structure of ReAgBr4, with properties calculated at the GGA-PBE level.
*/
_The records of crystals stop here_
Shtrasler keeps attacking the possibility of shifting to renewable energy: Europe cannot be looked to as an example, he says, since Europe has plenty of hydroelectric power, he explains, and cites in particular Norway and Albania (neither of which are EU members, as it happens). For some reason, Shtrasler’s map of Europe does not seem to include Austria (which currently produces 73 percent of its electricity from renewable energy), Denmark (62 percent), Portugal (52 percent), Germany (38 percent) or Italy (34 percent) – all of which draw heavily on the wind and sun as energy sources.
And as if that weren’t enough, Shtrasler explains that Israel did not meet its climate goals except in the energy field (thanks to natural gas, of course). But this is another inaccuracy, to put it mildly. Israel did not meet its goals to produce electricity from renewable energy (6 percent instead of 10 percent in 2020), and it is very far from reaching its efficient energy use goal (3.5 percent instead of 10 percent in 2020).
'''
Below is a relaxed structure of Tm4Bi2SbAs, with properties calculated at the GGA-PBE level.

CIF file:
```
data_Tm4Bi2SbAs
_space_group_name_H-M_alt 'P 1 2/m 1'
_space_group_IT_number 10
_cell_length_a 7.4723
_cell_length_b 4.2931
_cell_length_c 7.5084
_cell_angle_alpha 90.00
_cell_angle_beta 109.17
_cell_angle_gamma 90.00
loop_
_space_group_symop_operation_xyz
'x,y,z'
'-x,-y,-z'
'-x,y,-z'
'x,-y,z'
loop_
_atom_site_label
_atom_site_type_symbol
_atom_site_fract_x
_atom_site_fract_y
_atom_site_fract_z
Tm1 Tm 0.2353 0.0000 0.2314
Tm2 Tm 0.2453 0.5000 0.7629
Bi1 Bi 0.0000 0.0000 0.5000
Bi2 Bi 0.5000 0.5000 0.5000
Sb1 Sb 0.5000 0.0000 0.0000
As1 As 0.0000 0.5000 0.0000
```

Calculated values
E_form (uncorrected): -1.01 eV/atom
total magnetic moment: 0.00 μB per formula unit



Below is a relaxed structure of RbReCl2, with properties calculated at the GGA-PBE level.

CIF file:
```
data_RbReCl2
_space_group_name_H-M_alt 'R -3 m'
_space_group_IT_number 166
_space_group_name_Hall '-R 3 2"'
_cell_length_a 3.2352
_cell_length_b 3.2352
_cell_length_c 28.4255
_cell_angle_alpha 90.00
_cell_angle_beta 90.00
_cell_angle_gamma 120.00
loop_
_atom_site_label
_atom_site_type_symbol
_atom_site_fract_x
_atom_site_fract_y
_atom_site_fract_z
Rb1 Rb 0.0000 0.0000 0.0000
Re1 Re 0.0000 0.0000 0.5000
Cl1 Cl 0.0000 0.0000 0.4186
```

Calculated values
E above lowest polymorph: 0.0 meV/atom
E_form (uncorrected): 0.08 eV/atom
total magnetic moment: 0.00 μB per formula unit



Below is a relaxed structure of La2PmCd5, with properties calculated at the GGA-PBE level.

CIF file:
```
data_La2PmCd5
_space_group_name_H-M_alt 'I 4/m m m'
_space_group_IT_number 139
_space_group_name_Hall '-I 4 2'
_cell_length_a 5.2403
_cell_length_b 5.2403
_cell_length_c 15.8952
_cell_angle_alpha 90.00
_cell_angle_beta 90.00
_cell_angle_gamma 90.00
loop_
_atom_site_label
_atom_site_type_symbol
_atom_site_fract_x
_atom_site_fract_y
_atom_site_fract_z
La1 La 0.0000 0.0000 0.2354
Pm1 Pm 0.0000 0.0000 0.5000
Cd1 Cd 0.0000 0.0000 0.0000
Cd2 Cd 0.0000 0.5000 0.1135
```

Calculated values
ΔH_f (0 K): -0.322 eV per atom
total magnetic moment: 0.19 μB per formula unit



Below is a relaxed structure of Pm2Dy3Pd2, with properties calculated at the GGA-PBE level.

CIF file:
```
data_Pm2Dy3Pd2
_space_group_name_H-M_alt 'C 1 2/m 1'
_space_group_IT_number 12
_cell_length_a 12.5736
_cell_length_b 3.7429
_cell_length_c 9.1488
_cell_angle_alpha 90.00
_cell_angle_beta 117.40
_cell_angle_gamma 90.00
loop_
_space_group_symop_operation_xyz
'x,y,z'
'-x,-y,-z'
'-x,y,-z'
'x,-y,z'
'x+1/2,y+1/2,z'
'-x+1/2,-y+1/2,-z'
'-x+1/2,y+1/2,-z'
'x+1/2,-y+1/2,z'
loop_
_atom_site_label
_atom_site_type_symbol
_atom_site_fract_x
_atom_site_fract_y
_atom_site_fract_z
Pm1 Pm 0.1549 0.0000 0.3127
Dy1 Dy 0.0000 0.5000 0.5000
Dy2 Dy 0.1150 0.5000 0.9416
Pd1 Pd 0.1653 0.0000 0.7386
```

Calculated values
E above lowest polymorph: 0.0 meV/atom
ΔH_f (0 K): -0.515 eV per atom
total magnetic moment: 0.00 μB per formula unit
'''
The scenes from Israel and numerous places around the world in the past weeks show that the scientists’ predictions about the climate crisis are already coming true – and even appear conservative now. And squaring off against this reality are the fuel corporations that have long shown that they will do whatever is necessary to preserve their status and profits (as we witnessed last week during the Knesset Finance Committee’s hearings on the sovereign wealth fund).
Six years after the Paris Climate Accord and with the upcoming UN Climate Conference to be held in Glasgow, the equation is very simple: Solving the climate problem requires every country to significantly reduce its hothouse gas emissions so that we reach zero emissions by 2050 at the latest. Also needed are plans to reduce energy consumption, an accelerated shift to renewable energy and, as stated above, a halt to the drilling for gas and oil. Shtrasler says, “If we only reach 30 percent solar energy and 70 percent natural gas by 2030 that’s a sufficiently ambitious target.” The science says that is not sufficient.
Dr. Aikhenbaum is the director of Greenpeace Israel.